== To do ==
Reproduce everything underneath exactly.

== Source ==
/*
Entry 1:
The following is a GGA-PBE calculation of a geometry-optimized LiCu2P6 structure, from Alexandria via LeMat-Bulk. Values from VASP.

Computed properties:
Its calculated volume is 325.18 Å³ per cell. As for the formation energy: -0.06 eV per atom. The symmetry is P2_1/c, No. 14. The magnetic moment comes out at 0.00 μB/f.u. As for the density: 3.27 g cm⁻³.

Quantum ESPRESSO input file:
```
&SYSTEM
  ibrav = 0, nat = 18, ntyp = 3
/
ATOMIC_SPECIES
Li 6.94 Li.upf
Cu 63.55 Cu.upf
P 30.97 P.upf
ATOMIC_POSITIONS crystal
Li 0.500 0.500 0.000
Li 0.000 0.000 0.500
Cu 0.912 0.447 0.797
Cu 0.588 0.947 0.703
Cu 0.412 0.053 0.297
Cu 0.088 0.553 0.203
P 0.876 0.769 0.263
P 0.075 0.689 0.859
P 0.884 0.900 0.942
P 0.616 0.400 0.558
P 0.425 0.189 0.641
P 0.624 0.269 0.238
P 0.124 0.231 0.737
P 0.925 0.311 0.141
P 0.116 0.100 0.058
P 0.384 0.600 0.442
P 0.575 0.811 0.359
P 0.376 0.731 0.762
CELL_PARAMETERS angstrom
6.497 0.000 -0.665
0.000 8.199 0.000
-0.348 0.000 6.141
```

=====

Entry 2:
The following is a GGA-PBE calculation of a geometry-optimized MoW2Br structure, from Alexandria via LeMat-Bulk. Values from VASP.

Computed properties:
Its calculated volume is 66.60 Å³ per cell. The symmetry is I-4m2, No. 119. The magnetic moment comes out at 0.00 μB/f.u. As for the density: 13.55 g cm⁻³. Its uncorrected formation energy is 1303 meV/atom.

Quantum ESPRESSO input file:
```
&SYSTEM
  ibrav = 0, nat = 4, ntyp = 3
/
ATOMIC_SPECIES
Mo 95.94 Mo.upf
Br 79.90 Br.upf
W 183.84 W.upf
ATOMIC_POSITIONS crystal
Mo 0.750 0.250 0.500
Br 0.500 0.500 0.000
W 0.000 0.000 0.000
W 0.250 0.750 0.500
CELL_PARAMETERS angstrom
5.218 0.329 0.000
2.072 4.800 0.000
-3.645 -2.564 2.733
```

=====

Entry 3:
The following is a GGA-PBE calculation of a geometry-optimized DyTi2Rh3 structure, from Alexandria via LeMat-Bulk. Values from VASP.

Computed properties:
Its calculated volume is 100.09 Å³ per cell. As for the formation energy: -0.77 eV per atom. The symmetry is P4/mmm, No. 123. The magnetic moment comes out at 0.00 μB/f.u. As for the density: 9.41 g cm⁻³.

Quantum ESPRESSO input file:
```
&SYSTEM
  ibrav = 0, nat = 6, ntyp = 3
/
ATOMIC_SPECIES
Dy 162.50 Dy.upf
Ti 47.87 Ti.upf
Rh 102.91 Rh.upf
ATOMIC_POSITIONS crystal
Dy 0.500 0.500 0.500
Ti 0.500 0.500 0.844
Ti 0.500 0.500 0.156
Rh 0.000 0.000 0.000
Rh 0.000 0.000 0.707
Rh 0.000 0.000 0.293
CELL_PARAMETERS angstrom
-0.519 1.175 -2.846
1.925 -2.128 -1.229
-7.901 -6.444 -1.219
```

=====

Entry 4:
The following is a GGA-PBE calculation of a geometry-optimized ErHSe2 structure, from Alexandria via LeMat-Bulk. Values from VASP.

Computed properties:
Its calculated volume is 185.00 Å³ per cell. The symmetry is P2_1, No. 4. The magnetic moment comes out at 0.00 μB/f.u. The uncorrected energy comes out at -38.71 eV per cell. As for the density: 5.86 g cm⁻³.

Quantum ESPRESSO input file:
```
&SYSTEM
  ibrav = 0, nat = 8, ntyp = 3
/
ATOMIC_SPECIES
Er 167.26 Er.upf
H 1.01 H.upf
Se 78.96 Se.upf
ATOMIC_POSITIONS crystal
Er 0.251 0.117 0.276
Er 0.751 0.785 0.940
H 0.132 0.353 0.639
H 0.632 0.549 0.577
Se 0.253 0.687 0.144
Se 0.431 0.718 0.632
Se 0.931 0.184 0.584
Se 0.753 0.215 0.072
CELL_PARAMETERS angstrom
4.905 0.000 -0.006
0.001 5.392 0.886
0.008 1.775 7.287
```

=====

Entry 5:
The following is a GGA-PBE calculation of a geometry-optimized Tm2MgFe2 structure, from Alexandria via LeMat-Bulk. Values from VASP.

Computed properties:
Its calculated volume is 103.44 Å³ per cell. As for the formation energy: -0.06 eV per atom. The symmetry is Cmmm, No. 65. The magnetic moment comes out at 0.00 μB/f.u. As for the density: 7.61 g cm⁻³.

Quantum ESPRESSO input file:
```
&SYSTEM
  ibrav = 0, nat = 5, ntyp = 3
/
ATOMIC_SPECIES
Tm 168.93 Tm.upf
Mg 24.30 Mg.upf
Fe 55.84 Fe.upf
ATOMIC_POSITIONS crystal
Tm 0.500 0.642 0.284
Tm 0.500 0.358 0.716
Mg 0.000 0.000 0.000
Fe 0.000 0.214 0.428
Fe 0.000 0.786 0.572
CELL_PARAMETERS angstrom
-0.263 0.409 -4.055
3.353 -1.656 -0.385
-4.693 -5.183 -0.219
```

=====

Entry 6:
*/

== Solution ==
Entry 1:
The following is a GGA-PBE calculation of a geometry-optimized LiCu2P6 structure, from Alexandria via LeMat-Bulk. Values from VASP.

Computed properties:
Its calculated volume is 325.18 Å³ per cell. As for the formation energy: -0.06 eV per atom. The symmetry is P2_1/c, No. 14. The magnetic moment comes out at 0.00 μB/f.u. As for the density: 3.27 g cm⁻³.

Quantum ESPRESSO input file:
```
&SYSTEM
  ibrav = 0, nat = 18, ntyp = 3
/
ATOMIC_SPECIES
Li 6.94 Li.upf
Cu 63.55 Cu.upf
P 30.97 P.upf
ATOMIC_POSITIONS crystal
Li 0.500 0.500 0.000
Li 0.000 0.000 0.500
Cu 0.912 0.447 0.797
Cu 0.588 0.947 0.703
Cu 0.412 0.053 0.297
Cu 0.088 0.553 0.203
P 0.876 0.769 0.263
P 0.075 0.689 0.859
P 0.884 0.900 0.942
P 0.616 0.400 0.558
P 0.425 0.189 0.641
P 0.624 0.269 0.238
P 0.124 0.231 0.737
P 0.925 0.311 0.141
P 0.116 0.100 0.058
P 0.384 0.600 0.442
P 0.575 0.811 0.359
P 0.376 0.731 0.762
CELL_PARAMETERS angstrom
6.497 0.000 -0.665
0.000 8.199 0.000
-0.348 0.000 6.141
```

=====

Entry 2:
The following is a GGA-PBE calculation of a geometry-optimized MoW2Br structure, from Alexandria via LeMat-Bulk. Values from VASP.

Computed properties:
Its calculated volume is 66.60 Å³ per cell. The symmetry is I-4m2, No. 119. The magnetic moment comes out at 0.00 μB/f.u. As for the density: 13.55 g cm⁻³. Its uncorrected formation energy is 1303 meV/atom.

Quantum ESPRESSO input file:
```
&SYSTEM
  ibrav = 0, nat = 4, ntyp = 3
/
ATOMIC_SPECIES
Mo 95.94 Mo.upf
Br 79.90 Br.upf
W 183.84 W.upf
ATOMIC_POSITIONS crystal
Mo 0.750 0.250 0.500
Br 0.500 0.500 0.000
W 0.000 0.000 0.000
W 0.250 0.750 0.500
CELL_PARAMETERS angstrom
5.218 0.329 0.000
2.072 4.800 0.000
-3.645 -2.564 2.733
```

=====

Entry 3:
The following is a GGA-PBE calculation of a geometry-optimized DyTi2Rh3 structure, from Alexandria via LeMat-Bulk. Values from VASP.

Computed properties:
Its calculated volume is 100.09 Å³ per cell. As for the formation energy: -0.77 eV per atom. The symmetry is P4/mmm, No. 123. The magnetic moment comes out at 0.00 μB/f.u. As for the density: 9.41 g cm⁻³.

Quantum ESPRESSO input file:
```
&SYSTEM
  ibrav = 0, nat = 6, ntyp = 3
/
ATOMIC_SPECIES
Dy 162.50 Dy.upf
Ti 47.87 Ti.upf
Rh 102.91 Rh.upf
ATOMIC_POSITIONS crystal
Dy 0.500 0.500 0.500
Ti 0.500 0.500 0.844
Ti 0.500 0.500 0.156
Rh 0.000 0.000 0.000
Rh 0.000 0.000 0.707
Rh 0.000 0.000 0.293
CELL_PARAMETERS angstrom
-0.519 1.175 -2.846
1.925 -2.128 -1.229
-7.901 -6.444 -1.219
```

=====

Entry 4:
The following is a GGA-PBE calculation of a geometry-optimized ErHSe2 structure, from Alexandria via LeMat-Bulk. Values from VASP.

Computed properties:
Its calculated volume is 185.00 Å³ per cell. The symmetry is P2_1, No. 4. The magnetic moment comes out at 0.00 μB/f.u. The uncorrected energy comes out at -38.71 eV per cell. As for the density: 5.86 g cm⁻³.

Quantum ESPRESSO input file:
```
&SYSTEM
  ibrav = 0, nat = 8, ntyp = 3
/
ATOMIC_SPECIES
Er 167.26 Er.upf
H 1.01 H.upf
Se 78.96 Se.upf
ATOMIC_POSITIONS crystal
Er 0.251 0.117 0.276
Er 0.751 0.785 0.940
H 0.132 0.353 0.639
H 0.632 0.549 0.577
Se 0.253 0.687 0.144
Se 0.431 0.718 0.632
Se 0.931 0.184 0.584
Se 0.753 0.215 0.072
CELL_PARAMETERS angstrom
4.905 0.000 -0.006
0.001 5.392 0.886
0.008 1.775 7.287
```

=====

Entry 5:
The following is a GGA-PBE calculation of a geometry-optimized Tm2MgFe2 structure, from Alexandria via LeMat-Bulk. Values from VASP.

Computed properties:
Its calculated volume is 103.44 Å³ per cell. As for the formation energy: -0.06 eV per atom. The symmetry is Cmmm, No. 65. The magnetic moment comes out at 0.00 μB/f.u. As for the density: 7.61 g cm⁻³.

Quantum ESPRESSO input file:
```
&SYSTEM
  ibrav = 0, nat = 5, ntyp = 3
/
ATOMIC_SPECIES
Tm 168.93 Tm.upf
Mg 24.30 Mg.upf
Fe 55.84 Fe.upf
ATOMIC_POSITIONS crystal
Tm 0.500 0.642 0.284
Tm 0.500 0.358 0.716
Mg 0.000 0.000 0.000
Fe 0.000 0.214 0.428
Fe 0.000 0.786 0.572
CELL_PARAMETERS angstrom
-0.263 0.409 -4.055
3.353 -1.656 -0.385
-4.693 -5.183 -0.219
```

=====

Entry 6: